It’s time to look at an all new Masters of the Universe Classics figure: Double Mischief, or rather, Double Trouble as I will forever call her. July marks the beginning of the Club Etheria subscription for MOTUC, a mini-sub that honors the 30th Anniversary of She-Ra: Princess of Power! There are some amazing figures lined up for this mini-sub, so let’s check out the first one!
Double Trouble comes packed on the same card as all the other MOTUC releases. That lovely familiar POP sticker greets us and I love it. Never in a million years will I ever grow tired of seeing that logo. She looks striking in the bubble and while her name has changed, she is still a glamorous double agent! (I wish that were an actual career.)
Flipped around, the card shows off some other POP related items. Snout Sprout is also there, reminding us that he indeed is a part of the lovely world of Etheria. (Snout Sprout was seen in the She-Ra cartoon.)
Double’s bio is an interesting one, if only because I have read this bio a long time ago before this figure was even a twinkle in the Unnamed One’s eye. I really like that she is written as Glimmer’s cousin. It is nice to see a familial connection between these characters.
Out of package Double Trouble looks every bit of her vintage toy counterpart. I have smiled and enjoyed the POP releases in MOTUC for awhile now, but this figure has really given me a touch of nostalgia because she is very much like her vintage toy. The other POP releases have gone more the way of their Filmation looks; however, since Double Trouble never made an appearance in the cartoon, she had no choice but to look like her toy version. The design is fascinating; her long pony tail looks amazing. The colors used for her outfit are bright without being garish.
Turned around we can see that her pony tail indeed moves around! I love the detail with that. Her cape also has a translucent look to it that mimics the thin material used for her vintage one. Also, while her hair is incredibly massive, she can stand on her own.
Now for the moment that has created a load of drama for fans: Double’s face. Like her vintage toy, this Double Trouble can indeed swap faces revealing her “good” side and her “bad” side. This is her sweet innocent face. The problem that fans have reported having with this figure is that her chin and neck look like one whole piece. It is a look that many have deemed unflattering. From certain pictures I can certainly agree. Under a harsh flash, this whole face looks odd.
When taken from the side it is not that bad. The design does look off, but in person it actually isn’t as noticeable. The way her helmet swoops out in person creates a shadow effect that hides the flawed face sculpt. It only really looks odd when a flash is used.
So there are two ways to swap Double’s heads. One part involves taking the hair and top piece of the helmet off, removing the helmet, and then turning the head around. Or, one can just simply turn the beaded green piece under the hair around until the desired face is seen; like this evil Horde face! The face looks fantastic and shares that vintage feel.
Here is a nice shot of Double Trouble getting her spy face on.
Originally Double Trouble came with nothing but a mini-comic. However, this new piece of Trouble also came with a requisite Horde crossbow. The design is simple and I enjoy the use of the green coloring.
The crossbow fits right into her hand and really completes a nice look.
Here is a nice family photo of two cousins from the Great Rebellion! Double Trouble’s auntie Angella would have been there for the family photo, but she’s indisposed for the time being. Try back in 2015 maybe?
While busy running some spy games on the Great Rebellion, Double Trouble joins the bad girls club with the other ladies of the Horde! She doesn’t really fit in per se with the ladies of villainy, but it is nice seeing her in this group!
-- Attached: materials data --
Structure and computed X-ray diffraction stick pattern of V6P3H (a structure optimized by DFT (PBE); Cu Kα (λ = 1.5418 Å)).

Structure:
Cell: 5.426 5.426 6.248 Å, 119.49 119.49 55.15°
Fractional positions:
V1 0.166 0.692 0.651
V2 0.228 0.228 0.841
V3 0.308 0.834 0.349
V4 0.692 0.166 0.651
V5 0.772 0.772 0.159
V6 0.834 0.308 0.349
P1 0.264 0.264 0.258
P2 0.500 0.500 0.000
P3 0.736 0.736 0.742
H1 0.000 0.000 0.500

The 12 most intense peaks (2θ = 15–90°), sorted by position:
2θ (°)  d_spacing  I_rel
34.52  2.598  23
34.74  2.582  46
35.10  2.556  41
38.21  2.356  100
38.67  2.329  31
39.87  2.261  62
42.50  2.127  83
43.94  2.061  50
46.51  1.953  87
50.97  1.792  43
51.50  1.774  25
71.44  1.320  22
-- Here the text continues --
Finally, Double Trouble with her other friends that make up the first wave of She-Ra characters from the original card back. All that is missing is Angella. It’s crazy to think that we are ever so closer to completely finishing out the Princess of Power toy line.
Grade: A- (The face sculpt could have been executed better, but overall, this is a great figure and a nice solid start to the Etheria mini-sub.)

**Crystal structures, as found in the file**
Diffraction record for Zr4GeSb7. The X-ray diffraction stick pattern is simulated, not measured: it uses a crystal structure in the Materials Project, relaxed with GGA-PBE and a wavelength of 1.5418 Å.

Structural model:
abc: 7.381 3.993 9.683
angles: 90.00 90.45 90.00
Element x y z (fractional)
Zr  0.000  0.000  0.000
Zr  0.019  0.500  0.505
Zr  0.502  0.000  0.824
Zr  0.524  0.500  0.333
Ge  0.628  0.500  0.620
Sb  0.129  0.500  0.212
Sb  0.191  0.500  0.810
Sb  0.339  0.000  0.524
Sb  0.394  0.000  0.119
Sb  0.693  0.500  0.016
Sb  0.828  0.000  0.315
Sb  0.874  0.000  0.704

Most intense lines, 2θ = 10–90°, by intensity:
| 2theta | I_rel | hkl |
| --- | --- | --- |
| 33.05 | 100 | 2 1 0 |
| 37.79 | 62 | 1 1 -3 |
| 37.93 | 60 | 1 1 3 |
| 31.41 | 59 | 1 1 -2 |
| 45.43 | 46 | 0 2 0 |
| 34.41 | 43 | 2 1 1 |
| 30.31 | 40 | 1 0 3 |
| 31.53 | 39 | 1 1 2 |
| 41.02 | 36 | 3 0 -2 |
| 34.31 | 35 | 2 1 -1 |

~~~~~

The following is a calculated PXRD pattern of TbBi2WO8. It was derived from a crystal structure in Alexandria, relaxed with PBE+U, using λ = 1.5418 Å (Cu Kα).
Lines closer than 0.1° are merged.

Structure:
abc: 5.156 6.836 5.162
angles: 90.00 90.14 90.00
Atoms (fractional coordinates):
Tb1 0.000 0.000 0.000
Bi1 0.500 0.254 0.500
Bi2 0.500 0.746 0.500
W1 0.000 0.500 0.000
O1 0.180 0.284 0.178
O2 0.180 0.716 0.178
O3 0.267 0.500 0.732
O4 0.309 0.000 0.689
O5 0.691 0.000 0.311
O6 0.733 0.500 0.268
O7 0.820 0.284 0.822
O8 0.820 0.716 0.822

Principal peaks in the range 10° ≤ 2θ ≤ 90°, in order of rising 2θ:
Position (°2θ), I/Imax, h k l
24.40, 100, 1 0 1
31.39, 90, 1 2 0
34.78, 29, 0 0 2
47.55, 70, 2 2 1
49.94, 9, 2 0 -2
56.37, 14, 3 0 -1
59.76, 17, 1 4 1
60.24, 20, 0 2 3
65.52, 11, 0 4 2
81.55, 10, 3 4 -1
**Back to the entry**
Jul 30, 2014 -
Oddly, when I looked at the figure for the first time I noticed how the head looked strange, but all in all the figure is nice. I like the translucent cape, I think that is a great touch. The crossbow is a nice inclusion, however, it probably should have had a way to change with her appearance too.
The name–I don’t care if they lost the copyright, its so friggin stupid! They should have just begged with a few million for the name back…pocket change.
Great review; I think I made the right choice by getting the mini subscription, it has a nice selection of figures–Mattel’s first good idea.